Exercise:
Next, repeat the lines below from the one with "-1.91 -2.32" to the one with "1.45" exactly.

Listing:
~~~
1.
Here is the molecule C17H17N5OS2 in a non-equilibrium geometry from the OMol25 dataset. Energies are from the ωB97M-V functional and the def2-TZVPD basis.

Structure (ORCA input):
```
! wB97M-V def2-TZVPD RIJCOSX def2/J DEFGRID3
* xyz 0 1
H 2.98 -0.98 4.45
H 1.21 -0.95 -3.01
H 0.46 -3.04 -4.41
H 1.34 -4.51 -4.01
C 0.68 0.51 2.27
H -2.51 4.36 -0.55
N -1.01 2.51 -1.06
C -1.16 -3.33 -0.70
C 0.12 1.19 1.12
H -2.45 4.26 1.19
N -2.12 3.97 0.29
N -1.53 3.15 3.58
H 0.89 -4.26 -1.64
H -1.80 -2.58 -0.24
H 0.51 -0.83 5.32
N 2.19 -0.98 -0.71
C 2.14 -0.57 3.94
S 2.36 0.07 2.36
C -1.17 2.70 2.58
C 1.40 -0.17 -0.46
H -0.23 -0.91 -4.05
C -2.02 -4.46 -1.27
H -1.40 -5.25 -1.69
H -2.63 -4.88 -0.49
C 0.85 -0.47 4.36
H -2.67 -4.07 -2.05
C 0.46 0.83 -0.20
C -0.21 1.49 -1.25
N -0.37 -2.65 -1.72
C 0.02 0.15 3.42
S -0.01 1.14 -2.96
H -1.03 0.31 3.57
H -0.41 -4.44 -3.78
C 0.16 -0.68 -3.06
C 0.51 -3.87 -3.71
O -1.61 -0.79 -1.46
C -1.31 2.91 0.17
C -0.79 2.23 1.31
H 1.65 -2.79 -2.22
C 0.74 -3.39 -2.28
C -0.69 -1.37 -2.00
H -0.48 -3.72 0.06
*
```

## Properties
* Kohn-Sham gap: 8.37 eV
* HOMO level: -8.58 eV
* relative energy (zero: lowest compared OMol25 entry of this formula, charge and spin): 0.000 eV

2.
Here is the molecule C17H17N7O2S in a non-equilibrium geometry from the OMol25 dataset. Energies are from the ωB97M-V functional and the def2-TZVPD basis.

Structure (ORCA input):
```
! wB97M-V def2-TZVPD RIJCOSX def2/J DEFGRID3
* xyz 0 1
N -1.60 1.19 3.08
O -5.32 0.56 1.72
H -0.30 -0.07 -5.43
H -2.32 1.10 -4.59
C 0.84 0.67 -2.30
C -1.84 -1.61 0.14
H 3.60 -0.38 -2.48
C 2.01 0.66 -1.41
H -1.91 -2.32 -0.63
C 0.58 -2.07 0.49
C -1.40 1.56 -2.65
H -4.67 2.09 3.39
C 3.08 -2.42 0.84
H 1.73 -1.09 1.83
N 1.75 -1.86 1.19
S 5.18 -0.99 1.81
H 3.02 -3.07 -0.07
C 0.82 0.18 -3.62
H -1.50 2.51 4.84
H -2.28 2.07 -2.24
C -0.63 -1.31 0.80
N -2.47 2.49 4.55
H -0.29 1.76 -0.82
C 3.04 -0.47 -1.56
O 0.57 -2.99 -0.34
H 3.35 -3.02 1.74
C -2.70 1.64 3.58
C -4.14 0.65 2.05
H 4.66 0.35 -0.45
N -3.02 -0.98 0.47
H 1.63 0.57 -0.43
C -1.71 0.30 2.05
H 2.52 1.65 -1.43
H 2.62 -1.46 -1.58
H -3.15 2.44 5.30
C -0.31 0.35 -4.43
N -0.56 -0.33 1.73
C 4.06 -1.30 0.65
N -3.96 1.44 3.10
H 1.68 -0.32 -4.04
N 4.00 -0.43 -0.47
C -0.27 1.36 -1.84
C -1.43 0.98 -3.94
C -2.95 -0.06 1.45
*
```

## Properties
* Kohn-Sham gap: 7.57 eV
* HOMO level: -8.51 eV
* relative energy (zero: lowest compared OMol25 entry of this formula, charge and spin): 0.815 eV

3.
Here is a structure of composition C17H17N7RuSe5 from the OMol25 dataset. Energies are from the ωB97M-V functional and the def2-TZVPD basis.

Structure (ORCA input):
```
! wB97M-V def2-TZVPD RIJCOSX def2/J DEFGRID3
* xyz 2 5
N 1.12 1.92 1.21
H -0.10 -3.31 -2.98
H 1.34 -4.82 1.25
C 1.96 2.55 2.05
H -4.78 2.63 -1.95
Se -2.18 5.27 0.44
C -0.75 -0.25 3.51
C -2.98 3.43 -1.01
H -1.11 0.52 -2.60
H 2.44 -2.79 0.06
C 1.63 -3.41 -0.32
H -1.23 -2.60 -1.82
Se 1.64 4.10 -2.17
N -0.93 4.14 -0.12
H 2.65 3.25 1.60
C -3.03 1.47 -2.36
N -1.50 -1.07 3.79
C 0.19 0.75 3.07
H -0.82 -5.48 0.66
Ru 1.19 1.93 -1.11
C -1.57 3.24 -0.83
H -1.55 -4.96 -1.65
C 0.25 1.05 1.71
H 2.63 2.86 4.05
C 0.89 -1.29 -1.20
H 0.15 -5.31 -1.64
H 1.03 1.19 5.00
H -1.38 -3.83 0.56
C -0.59 -4.51 0.24
N -3.50 4.49 -0.42
H 0.61 -3.26 1.56
H -0.42 0.56 1.02
N -0.91 2.16 -1.42
N 0.78 -2.57 -1.21
Se 4.86 3.28 -0.70
Se 3.41 5.04 -1.13
C -0.59 -4.59 -1.29
C 1.94 2.33 3.41
C -3.72 2.50 -1.80
C 0.77 -4.01 0.78
H 2.07 -4.18 -0.96
C 1.05 1.41 3.94
N 1.00 -0.13 -1.20
Se 3.57 1.42 -0.98
C -1.64 1.34 -2.14
C -0.35 -3.23 -1.93
H -3.53 0.74 -2.98
*
```

## Properties
* Kohn-Sham gap (alpha / beta): 7.22 / 6.19 eV
* HOMO level (alpha / beta): -14.21 / -14.85 eV
* relative energy (zero: lowest compared OMol25 entry of this formula, charge and spin): 0.000 eV

4.
Here is a structure of composition C17H18As2N2O7Sn from the OMol25 dataset. Energies are from the ωB97M-V functional and the def2-TZVPD basis.

Structure (ORCA input):
```
! wB97M-V def2-TZVPD RIJCOSX def2/J DEFGRID3
* xyz 2 1
H 2.22 2.48 -1.10
~~~

Reply:
H -1.91 -2.32 -0.63
C 0.58 -2.07 0.49
C -1.40 1.56 -2.65
H -4.67 2.09 3.39
C 3.08 -2.42 0.84
H 1.73 -1.09 1.83
N 1.75 -1.86 1.19
S 5.18 -0.99 1.81
H 3.02 -3.07 -0.07
C 0.82 0.18 -3.62
H -1.50 2.51 4.84
H -2.28 2.07 -2.24
C -0.63 -1.31 0.80
N -2.47 2.49 4.55
H -0.29 1.76 -0.82
C 3.04 -0.47 -1.56
O 0.57 -2.99 -0.34
H 3.35 -3.02 1.74
C -2.70 1.64 3.58
C -4.14 0.65 2.05
H 4.66 0.35 -0.45
N -3.02 -0.98 0.47
H 1.63 0.57 -0.43
C -1.71 0.30 2.05
H 2.52 1.65 -1.43
H 2.62 -1.46 -1.58
H -3.15 2.44 5.30
C -0.31 0.35 -4.43
N -0.56 -0.33 1.73
C 4.06 -1.30 0.65
N -3.96 1.44 3.10
H 1.68 -0.32 -4.04
N 4.00 -0.43 -0.47
C -0.27 1.36 -1.84
C -1.43 0.98 -3.94
C -2.95 -0.06 1.45